=====
## CaAg5 (PBE)

Data for a relaxed structure of CaAg5.

```
CaAg5
1.0
6.7197 -0.0355 0.0000
-5.3558 4.0584 0.0000
0.0000 0.0000 4.4063
Ag Ca
5 1
Direct
0.8003 0.1997 0.5000
0.6450 0.3550 0.0000
0.4722 0.5278 0.5000
0.2994 0.7006 0.0000
0.1441 0.8559 0.5000
0.9722 0.0278 0.0000
```

- DOS at the Fermi energy: 0.508 states/eV/atom
- Electronic total energy: -16.79 eV for the cell shown
- Calculated formation energy: -88.1 meV/atom


This record from Alexandria via LeMat-Bulk describes crystalline Ba4SbOs at its relaxed geometry. The functional is PBE.

Unit cell a=6.8586 b=6.8586 c=6.8586 alpha=60.00 beta=60.00 gamma=60.00
Positions (direct):
Ba 0.8747 0.3751 0.3751
Sb 0.0000 0.0000 0.0000
Ba 0.3751 0.3751 0.8747
Ba 0.3751 0.3751 0.3751
Ba 0.3751 0.8747 0.3751
Os 0.7500 0.7500 0.7500

Computed properties:
Total DFT energy (no corrections) = -2.91 eV per atom
Formation energy (no corrections) = 536 kJ/mol of formula units
V = 38.0 Å³/atom


Entry 1:
Entry from Alexandria: a relaxed HoTmO2 crystal (PBE-GGA).

Cell: 3.5830 3.5830 19.1795 Å, 90.00 90.00 120.00°
Space group R-3m (No. 166, hexagonal axes)
Symmetry-distinct sites (fractional):
Ho1 0.0000 0.0000 0.0000
Tm1 0.0000 0.0000 0.5000
O1 0.0000 0.0000 0.3875


Entry 2:
Entry from Alexandria: a relaxed HoTmO3 crystal (PBE-GGA).

Cell: 5.5522 5.5522 16.2441 Å, 90.00 90.00 120.00°
Space group R32 (No. 155, hexagonal axes)
Symmetry-distinct sites (fractional):
Ho1 0.0000 0.0000 0.1457
Tm1 0.0000 0.0000 0.3522
O1 0.0045 0.2962 0.2504


Entry 3:
Entry from Alexandria: a relaxed HoTm2O crystal (PBE-GGA).

E above lowest polymorph, eV/atom: 0.543

Cell: 3.1603 3.1603 8.5262 Å, 90.00 90.00 90.00°
Space group P4/mmm (No. 123)
Symmetry-distinct sites (fractional):
Ho1 0.0000 0.0000 0.0000
Tm1 0.5000 0.5000 0.3206
O1 0.0000 0.0000 0.5000


Entry 4:
Entry from Alexandria: a relaxed HoTmO3 crystal (PBE-GGA).

Cell: 5.8918 5.8918 3.0149 Å, 90.00 90.00 120.00°
Space group P-6m2 (No. 187)
Symmetry-distinct sites (fractional):
Ho1 0.0000 0.0000 0.0000
Tm1 0.3333 0.6667 0.0000
O1 0.1680 0.3360 0.5000


Entry 5:
Entry from Alexandria: a relaxed HoTm2O crystal (PBE-GGA).

E above lowest polymorph, eV/atom: 0.000

Cell: 3.4555 3.4555 25.6501 Å, 90.00 90.00 120.00°
Space group R-3m (No. 166, hexagonal axes)
Symmetry-distinct sites (fractional):
Ho1 0.0000 0.0000 0.0000
Tm1 0.0000 0.0000 0.2197
O1 0.0000 0.0000 0.5000


Entry 6:
Entry from Alexandria: a relaxed HoTmO crystal (PBE-GGA).

E above lowest polymorph, eV/atom: 0.000

Cell: 5.6271 3.4867 6.0606 Å, 90.00 90.02 90.00°
Space group P2_1/m (No. 11)
Symmetry-distinct sites (fractional):
Ho1 0.2374 0.2500 0.0786
Tm1 0.2391 0.7500 0.5864
O1 0.0071 0.2500 0.7279


Entry 7:
Entry from Alexandria: a relaxed Ho2TmO crystal (PBE-GGA).

E above lowest polymorph, eV/atom: 0.518

Cell: 3.1745 3.1745 8.5713 Å, 90.00 90.00 90.00°
Space group P4/mmm (No. 123)
Symmetry-distinct sites (fractional):
Ho1 0.0000 0.0000 0.1781
Tm1 0.5000 0.5000 0.5000
O1 0.5000 0.5000 0.0000


Entry 8:
Entry from Alexandria: a relaxed HoTmO3 crystal (PBE-GGA).

Cell: 5.8784 8.3504 5.6134 Å, 90.00 90.00 90.00°
Space group Pnma (No. 62)
Symmetry-distinct sites (fractional):
Ho1 0.0529 0.2500 0.0199
Tm1 0.0000 0.0000 0.5000
O1 0.0794 0.7500 0.3504
O2 0.1886 0.5798 0.8149


Entry 9:
Entry from Alexandria: a relaxed HoTmUO6 crystal (PBE-GGA).

Cell: 5.7086 5.7086 9.3611 Å, 90.00 90.00 120.00°
Space group P-31c (No. 163)
Symmetry-distinct sites (fractional):
Ho1 0.0000 0.0000 0.0000
Tm1 0.3333 0.6667 0.2500
U1 0.3333 0.6667 0.7500
O1 0.0182 0.3520 0.6341


Entry 10:
Entry from Alexandria: a relaxed Ho2TmUO8 crystal (PBE-GGA).

Cell: 3.8331 5.2887 7.4872 Å, 90.00 90.00 90.00°
Space group Pmmm (No. 47)
Symmetry-distinct sites (fractional):
Ho1 0.0000 0.0000 0.2479
Tm1 0.5000 0.5000 0.0000
U1 0.5000 0.5000 0.5000
O1 0.0000 0.2526 0.0000
O2 0.0000 0.2661 0.5000
O3 0.5000 0.2589 0.2683


Entry 11:
Entry from Alexandria: a relaxed HoTm2UO8 crystal (PBE-GGA).
=====

Please say how many lines of the material above hold the word "above", as a bare number.

4